Creating a Book
Here the text breaks off for records of crystals:
'''
Mg14MoC | PBE | optimized geometry

Computed properties:
ΔE_f in kJ per mole of atoms: 33.8
Excess energy over the best structure of this formula in the dataset in meV per atom: 95.8
Calculated volume in Å³/atom: 20.13
Uncorrected energy in eV per formula unit: -36.9

```
data_Mg14MoC
_cell_length_a 6.2235
_cell_length_b 6.2235
_cell_length_c 9.6021
_cell_angle_alpha 90.00
_cell_angle_beta 90.00
_cell_angle_gamma 120.00
_space_group_name_H-M_alt 'P 1'
_space_group_IT_number 1
_space_group_name_Hall 'P 1'
loop_
_atom_site_label
_atom_site_type_symbol
_atom_site_fract_x
_atom_site_fract_y
_atom_site_fract_z
Mg1 Mg 0.3214 0.6428 0.8666
Mg2 Mg 0.1630 0.8315 0.6250
Mg3 Mg 0.6636 0.3271 0.1250
Mg4 Mg 0.6636 0.8364 0.1250
Mg5 Mg 0.8572 0.1786 0.3834
Mg6 Mg 0.6685 0.3370 0.6250
Mg7 Mg 0.8333 0.6667 0.8798
Mg8 Mg 0.6685 0.8315 0.6250
Mg9 Mg 0.8572 0.1786 0.8666
Mg10 Mg 0.3214 0.1786 0.3834
Mg11 Mg 0.3214 0.6428 0.3834
Mg12 Mg 0.3214 0.1786 0.8666
Mg13 Mg 0.1729 0.8364 0.1250
Mg14 Mg 0.8333 0.6667 0.3702
Mo1 Mo 0.1667 0.3333 0.1250
C1 C 0.1667 0.3333 0.6250
```

---

MgS8O20F8 | PBE | optimized geometry

Computed properties:
ΔE_f in kJ per mole of atoms: -179.5
Excess energy over the best structure of this formula in the dataset in meV per atom: 0.0
Calculated volume in Å³/atom: 17.57
Uncorrected energy in eV per formula unit: -200.4

```
data_MgS8O20F8
_cell_length_a 7.9414
_cell_length_b 8.8274
_cell_length_c 9.3798
_cell_angle_alpha 96.82
_cell_angle_beta 86.93
_cell_angle_gamma 94.76
_space_group_name_H-M_alt 'P 1'
_space_group_IT_number 1
_space_group_name_Hall 'P 1'
loop_
_atom_site_label
_atom_site_type_symbol
_atom_site_fract_x
_atom_site_fract_y
_atom_site_fract_z
F1 F 0.6724 0.5953 0.9245
F2 F 0.7524 0.1178 0.6018
F3 F 0.0961 0.2870 0.4338
F4 F 0.3918 0.7708 0.0945
F5 F 0.5987 0.2311 0.1060
F6 F 0.2653 0.9132 0.5886
F7 F 0.2240 0.4081 0.9445
F8 F 0.9119 0.7059 0.3610
O1 O 0.6151 0.2711 0.7955
O2 O 0.2082 0.5514 0.4854
O3 O 0.5030 0.0084 0.2318
O4 O 0.2091 0.9117 0.2672
O5 O 0.6926 0.9810 0.0088
O6 O 0.7541 0.5160 0.2066
O7 O 0.1369 0.1587 0.8238
O8 O 0.7951 0.4785 0.4625
O9 O 0.5370 0.8220 0.5099
O10 O 0.3137 0.3812 0.2701
O11 O 0.0432 0.3937 0.7416
O12 O 0.3026 0.0099 0.0305
O13 O 0.3883 0.7518 0.7405
O14 O 0.9341 0.3123 0.9707
O15 O 0.9963 0.7757 0.9708
O16 O 0.7926 0.1136 0.2473
O17 O 0.0308 0.4667 0.2705
O18 O 0.5059 0.0137 0.7319
O19 O 0.8646 0.8473 0.7560
O20 O 0.4828 0.2075 0.5584
S1 S 0.6697 0.0684 0.1435
S2 S 0.3247 0.9303 0.1494
S3 S 0.0742 0.3068 0.8568
S4 S 0.9303 0.7300 0.8289
S5 S 0.5789 0.1684 0.6695
S6 S 0.1866 0.4311 0.3724
S7 S 0.4312 0.8516 0.6352
S8 S 0.8534 0.5321 0.3310
Mg1 Mg 0.7239 0.4130 0.9758
```

---

PrCoSb2 | PBE | optimized geometry

Computed properties:
ΔE_f in kJ per mole of atoms: -70.1
Calculated volume in Å³/atom: 23.90
Uncorrected energy in eV per formula unit: -22.7

```
data_PrCoSb2
_cell_length_a 4.3848
_cell_length_b 4.3848
_cell_length_c 9.9442
_cell_angle_alpha 90.00
_cell_angle_beta 90.00
'''
Creating a book, according to a recent New York Times survey, is something that over 75% of the respondents said they wanted to accomplish.
So, why is it that so many want to do it and so few actually make it happen? The number one reason that I hear is a lack of time.
This is a real issue in this day and age as we juggle family, work, travel, shopping, household duties, social networking, learning needs, leisure and everything else under the sun.
Your own book, especially a non-fiction offering, can move from dream to reality if you can make the commitment to finding one hour per day.
This sounds easy at the outset but it takes discipline and the creation of a goal that is bigger than the roadblocks facing it.
An hour a day, dedicated, committed and without distraction can produce between 500 and 1000 words, and the surprise will be that it gets easier every day.
How can you get into this habit and how in the world will you find the time? A few tips:
This is the part about making the goal bigger than the things holding you back but here are a few thoughts about creating that one hour per day:
If you start today and follow these few tips, you will be pleasantly surprised at how quickly the writing will get easier and your dream will start to take the form of reality.
So, why is it that so many want to do it and so few actually make it happen? The number one reason that I hear is a lack of time.
This is a real issue in this day and age as we juggle family, work, travel, shopping, household duties, social networking, learning needs, leisure and everything else under the sun.
Your own book, especially a non-fiction offering, can move from dream to reality if you can make the commitment to finding one hour per day.
This sounds easy at the outset but it takes discipline and the creation of a goal that is bigger than the roadblocks facing it.
-- begin --
No. 1
# Na3ZrTiSi2PO12 | the Materials Project | GGA-PBE | relaxed
# Calculated formation energy: -3.07 eV per atom
# E: -7.46 eV per atom
# M_tot: 0.00 μB per cell
data_Na3ZrTiSi2PO12
_space_group_name_H-M_alt 'P 1'
_space_group_IT_number 1
_cell_length_a 9.045
_cell_length_b 9.083
_cell_length_c 12.861
_cell_angle_alpha 90.29
_cell_angle_beta 90.17
_cell_angle_gamma 90.01
loop_
_space_group_symop_operation_xyz
'x,y,z'
loop_
_atom_site_label
_atom_site_type_symbol
_atom_site_fract_x
_atom_site_fract_y
_atom_site_fract_z
_atom_site_occupancy
Na1 Na 0.000 0.000 0.000 1
Na2 Na 0.000 0.101 0.256 1
Na3 Na 0.005 0.950 0.494 1
Na4 Na 0.007 0.836 0.756 1
Na5 Na 0.348 0.160 0.561 1
Na6 Na 0.355 0.794 0.064 1
Na7 Na 0.499 0.455 0.000 1
Na8 Na 0.500 0.627 0.758 1
Na9 Na 0.504 0.503 0.492 1
Na10 Na 0.505 0.343 0.258 1
Na11 Na 0.838 0.666 0.072 1
Na12 Na 0.848 0.290 0.562 1
Zr1 Zr 0.212 0.471 0.148 1
Zr2 Zr 0.214 0.481 0.647 1
Zr3 Zr 0.715 0.971 0.649 1
Zr4 Zr 0.796 0.476 0.861 1
Ti1 Ti 0.298 0.971 0.861 1
Ti2 Ti 0.301 0.980 0.360 1
Ti3 Ti 0.709 0.984 0.150 1
Ti4 Ti 0.802 0.472 0.361 1
Si1 Si 0.155 0.324 0.399 1
Si2 Si 0.160 0.628 0.903 1
Si3 Si 0.348 0.835 0.607 1
Si4 Si 0.355 0.116 0.110 1
Si5 Si 0.653 0.125 0.398 1
Si6 Si 0.655 0.835 0.905 1
Si7 Si 0.846 0.617 0.605 1
Si8 Si 0.847 0.328 0.113 1
P1 P 0.003 0.765 0.259 1
P2 P 0.014 0.181 0.759 1
P3 P 0.504 0.262 0.760 1
P4 P 0.512 0.695 0.261 1
O1 O 0.018 0.562 0.611 1
O2 O 0.024 0.371 0.112 1
O3 O 0.089 0.865 0.335 1
O4 O 0.091 0.079 0.838 1
O5 O 0.107 0.673 0.188 1
O6 O 0.122 0.274 0.695 1
O7 O 0.159 0.142 0.400 1
O8 O 0.166 0.811 0.906 1
O9 O 0.231 0.566 0.796 1
O10 O 0.235 0.391 0.297 1
O11 O 0.247 0.380 0.501 1
O12 O 0.254 0.569 0.003 1
O13 O 0.268 0.915 0.508 1
O14 O 0.273 0.040 0.010 1
O15 O 0.276 0.893 0.719 1
O16 O 0.282 0.052 0.218 1
O17 O 0.350 0.655 0.600 1
O18 O 0.357 0.296 0.106 1
O19 O 0.397 0.154 0.815 1
O20 O 0.405 0.799 0.322 1
O21 O 0.420 0.596 0.184 1
O22 O 0.421 0.359 0.680 1
O23 O 0.472 0.085 0.399 1
O24 O 0.476 0.877 0.897 1
O25 O 0.522 0.885 0.611 1
O26 O 0.531 0.063 0.115 1
O27 O 0.579 0.365 0.841 1
O28 O 0.593 0.590 0.336 1
O29 O 0.617 0.787 0.193 1
O30 O 0.620 0.175 0.696 1
O31 O 0.654 0.653 0.909 1
O32 O 0.660 0.307 0.402 1
O33 O 0.723 0.057 0.290 1
O34 O 0.736 0.891 0.799 1
O35 O 0.741 0.893 0.010 1
O36 O 0.746 0.068 0.499 1
O37 O 0.763 0.410 0.017 1
O38 O 0.765 0.560 0.712 1
O39 O 0.767 0.537 0.505 1
O40 O 0.780 0.396 0.222 1
O41 O 0.840 0.147 0.108 1
O42 O 0.851 0.797 0.600 1
O43 O 0.902 0.655 0.319 1
O44 O 0.905 0.284 0.818 1
O45 O 0.911 0.864 0.184 1
O46 O 0.928 0.085 0.678 1
O47 O 0.976 0.369 0.399 1
O48 O 0.982 0.588 0.906 1



No. 2
# Na3ZrTiSi2PO12 | the Materials Project | GGA-PBE | relaxed
# Calculated formation energy: -3.08 eV per atom
# E: -7.47 eV per atom
# M_tot: 0.00 μB per cell
data_Na3ZrTiSi2PO12
_space_group_name_H-M_alt 'P 1'
_space_group_IT_number 1
_cell_length_a 9.058
_cell_length_b 9.070
_cell_length_c 22.281
_cell_angle_alpha 89.68
-- stop --
Here the text continues:
An hour a day, dedicated, committed and without distraction can produce between 500 and 1000 words, and the surprise will be that it gets easier every day.
How can you get into this habit and how in the world will you find the time? A few tips:
- begin by creating an outline of the book that you want to write and start with the 10 things that you absolutely must include to give your reader the experience they want
- once you have created 10 major sub topics, break them down into 3 or 4 items within each category that you will cover
- this gives you a total of approximately 35 writing targets and if you tackle one each day with between 500 and 1000 words, you will have created a substantial non-fiction book in about one month
- today's readers like a book in this size range, especially if it is in a non-fiction genre
This is the part about making the goal bigger than the things holding you back but here are a few thoughts about creating that one hour per day:
- get up an hour earlier or go to bed an hour later - pick one
- make it the same time every day, including weekends
- make it a continuous hour - don't cop out by "working it into your schedule" a few minutes here and there
- turn off your phone, email and social networking sites
- if your family likes to interrupt - get mad and state that unless there is a fire or blood on the floor, do not call me.
Don't worry, they'll get over it and get used to it (as you train them, you will be training yourself) - if you are uncomfortable with a computer based word processing program, write it by hand
- never stop to edit your typos
- only reread at the end of your one hour
The article is interrupted by crystal structures:
{
  "formula": "BaB2H2O5",
  "functional": "GGA-PBE",
  "state": "relaxed",
  "crystal_system": "monoclinic",
  "e_form_ev_per_atom": -2.555,
  "lattice_angstrom": [[7.243, 0.000, 0.000], [0.000, 7.056, 0.000], [0.000, 0.206, 11.985]],
  "species": ["O", "O", "Ba", "H", "H", "O", "Ba", "B", "O", "O", "B", "H", "H", "B", "Ba", "B", "O", "B", "B", "O", "O", "O", "O", "O", "O", "Ba", "H", "O", "H", "O", "O", "B", "O", "B", "Ba", "H", "O", "O", "O", "H", "O", "O", "H", "O", "O", "O", "O", "B", "O", "H", "Ba", "O", "B", "O", "H", "O", "O", "B", "B", "H"],
  "fractional_positions": [[0.734, 0.034, 0.655], [0.081, 0.699, 0.415], [0.774, 0.320, 0.946], [0.553, 0.356, 0.619], [0.383, 0.644, 0.605], [0.217, 0.928, 0.542], [0.371, 0.000, 0.750], [0.237, 0.826, 0.434], [0.800, 0.623, 0.322], [0.559, 0.385, 0.323], [0.999, 0.664, 0.302], [0.617, 0.644, 0.105], [0.553, 0.644, 0.881], [0.861, 0.000, 0.750], [0.774, 0.680, 0.554], [0.763, 0.826, 0.934], [0.783, 0.072, 0.458], [0.001, 0.336, 0.698], [0.763, 0.174, 0.566], [0.092, 0.500, 0.250], [0.217, 0.072, 0.958], [0.981, 0.834, 0.727], [0.200, 0.377, 0.678], [0.800, 0.377, 0.178], [0.019, 0.834, 0.227], [0.226, 0.320, 0.446], [0.885, 0.117, 0.410], [0.584, 0.288, 0.551], [0.617, 0.356, 0.395], [0.559, 0.615, 0.177], [0.416, 0.288, 0.051], [0.237, 0.174, 0.066], [0.081, 0.301, 0.085], [0.309, 0.500, 0.750], [0.629, 0.000, 0.250], [0.115, 0.883, 0.590], [0.416, 0.712, 0.449], [0.019, 0.166, 0.273], [0.441, 0.615, 0.677], [0.885, 0.883, 0.090], [0.908, 0.500, 0.750], [0.919, 0.301, 0.585], [0.115, 0.117, 0.910], [0.266, 0.966, 0.345], [0.200, 0.623, 0.822], [0.783, 0.928, 0.042], [0.919, 0.699, 0.915], [0.999, 0.336, 0.198], [0.266, 0.034, 0.155], [0.447, 0.644, 0.381], [0.226, 0.680, 0.054], [0.981, 0.166, 0.773], [0.691, 0.500, 0.250], [0.734, 0.966, 0.845], [0.383, 0.356, 0.895], [0.441, 0.385, 0.823], [0.584, 0.712, 0.949], [0.139, 0.000, 0.250], [0.001, 0.664, 0.802], [0.447, 0.356, 0.119]]
}

---

{
  "formula": "Na3ZrAlSiP2O12",
  "functional": "GGA-PBE",
  "state": "relaxed",
  "e_above_lowest_polymorph_ev_per_atom": 0.002,
  "e_form_ev_per_atom": -2.978,
  "lattice_angstrom": [[13.014, 0.000, -8.643], [0.000, 8.902, 0.000], [-0.158, 0.000, 8.964]],
  "species": ["Na", "Si", "Na", "O", "P", "Na", "Na", "Na", "Na", "O", "P", "O", "Si", "O", "O", "O", "O", "O", "O", "Al", "O", "O", "O", "Na", "O", "O", "O", "O", "O", "O", "Si", "Na", "Zr", "O", "O", "O", "O", "O", "O", "O", "Al", "Na", "O", "O", "O", "P", "O", "O", "Al", "O", "O", "P", "P", "O", "Si", "O", "O", "Al", "Zr", "P", "Zr", "Na", "O", "P", "O", "O", "O", "O", "P", "O", "O", "Zr", "O", "O", "O", "Na", "Na", "O", "O", "O"],
- use a notebook to track thoughts during the rest of your day (and night)
- don't use this time for designing covers, researching, outlining marketing programs or contacting publishers - this hour is for writing only
If you start today and follow these few tips, you will be pleasantly surprised at how quickly the writing will get easier and your dream will start to take the form of reality.